## Request
Please duplicate the data below from the line with "6.987 3.451" to the end with every line break kept.

## Entries
┌──
No. 1
The following is a PBE calculation of a relaxed Zn2InTc2 crystal, from Alexandria.

energy relative to the elements: 0.229 eV/atom

a b c (Å): 6.987 6.987 3.451
angles (deg): 90.00 90.00 90.00
Atoms (fractional coordinates):
Zn 0.827 0.327 0.500
Zn 0.673 0.827 0.500
Zn 0.327 0.173 0.500
Tc 0.119 0.381 0.000
Tc 0.881 0.619 0.000
Zn 0.173 0.673 0.500
Tc 0.619 0.119 0.000
Tc 0.381 0.881 0.000
In 0.000 0.000 0.000
In 0.500 0.500 0.000

No. 2
The following is a PBE calculation of a relaxed CsTl2BiF6 crystal, from Alexandria.

formation energy without anion corrections: -2.268 eV/atom

a b c (Å): 6.698 7.261 9.774
angles (deg): 90.00 88.57 90.00
Atoms (fractional coordinates):
Cs 0.500 0.000 0.000
F 0.365 0.741 0.405
F 0.201 0.143 0.463
F 0.701 0.357 0.963
F 0.631 0.090 0.290
F 0.131 0.410 0.790
Tl 0.493 0.467 0.235
F 0.135 0.241 0.095
F 0.799 0.857 0.537
F 0.865 0.759 0.905
Bi 0.000 0.500 0.000
Tl 0.993 0.033 0.735
F 0.299 0.643 0.037
Tl 0.507 0.533 0.765
F 0.635 0.259 0.595
Bi 0.500 0.000 0.500
F 0.869 0.590 0.210
Tl 0.007 0.967 0.265
F 0.369 0.910 0.710
Cs 0.000 0.500 0.500

no.,magnetic moment (μB/f.u.),volume (Å³ per cell)
1,0.0,168.5
2,0.0,475.2

~~~~~

No. 1
A relaxed Ti2CuBSe crystal, computed with PBE-GGA.

As for the total energy: -23.5 eV per cell. The calculation puts the raw formation energy at 1308 meV/atom.

The structure belongs to space group P4/mmm (No. 123); the cell edges are 4.686, 4.686 and 4.306 Å and the angles 90.00°, 90.00° and 90.00°. Symmetry generates all atoms from Ti at (0.000, 0.500, 0.000), Cu at (0.000, 0.000, 0.000), B at (0.500, 0.500, 0.500) and Se at (0.000, 0.000, 0.500).

No. 2
A relaxed CuSi2B2 crystal, computed with PBE-GGA.

The calculation puts the polymorph energy (0 for the lowest one) at 0 meV per atom. As for the total energy: -48.7 eV per cell. The calculation puts the raw formation energy at 790 meV/atom.

The structure belongs to space group I4/mmm (No. 139); the cell edges are 3.566, 3.566 and 9.226 Å and the angles 90.00°, 90.00° and 90.00°. Symmetry generates all atoms from Cu at (0.000, 0.000, 0.000), Si at (0.000, 0.000, 0.374) and B at (0.000, 0.500, 0.250).

No. 3
A relaxed CuSi2B2 crystal, computed with PBE-GGA.

The calculation puts the polymorph energy (0 for the lowest one) at 118 meV per atom. As for the total energy: -47.5 eV per cell. The calculation puts the raw formation energy at 908 meV/atom.

The structure belongs to space group P4/mbm (No. 127); the cell edges are 6.392, 6.392 and 2.628 Å and the angles 90.00°, 90.00° and 90.00°. Symmetry generates all atoms from Cu at (0.000, 0.000, 0.000), Si at (0.139, 0.361, 0.000) and B at (0.162, 0.662, 0.500).

No. 4
A relaxed CuSiB3 crystal, computed with PBE-GGA.

The calculation puts the polymorph energy (0 for the lowest one) at 56 meV per atom. As for the total energy: -21.0 eV per cell. The calculation puts the raw formation energy at 1716 meV/atom.

The structure belongs to space group Pm-3m (No. 221); the cell edges are 3.889, 3.889 and 3.889 Å and the angles 90.00°, 90.00° and 90.00°. Symmetry generates all atoms from Cu at (0.000, 0.000, 0.000), Si at (0.500, 0.500, 0.500) and B at (0.000, 0.000, 0.500).

No. 5
A relaxed CuSiB3 crystal, computed with PBE-GGA.

The calculation puts the polymorph energy (0 for the lowest one) at 0 meV per atom. As for the total energy: -21.3 eV per cell. The calculation puts the raw formation energy at 1660 meV/atom.

The structure belongs to space group Pm-3m (No. 221); the cell edges are 3.962, 3.962 and 3.962 Å and the angles 90.00°, 90.00° and 90.00°. Symmetry generates all atoms from Cu at (0.000, 0.000, 0.000), Si at (0.500, 0.500, 0.500) and B at (0.000, 0.500, 0.500).

No. 6
A relaxed Cu2SiB crystal, computed with PBE-GGA.

As for the total energy: -69.9 eV per cell. The calculation puts the raw formation energy at 706 meV/atom.
└──

## Response
a b c (Å): 6.987 6.987 3.451
angles (deg): 90.00 90.00 90.00
Atoms (fractional coordinates):
Zn 0.827 0.327 0.500
Zn 0.673 0.827 0.500
Zn 0.327 0.173 0.500
Tc 0.119 0.381 0.000
Tc 0.881 0.619 0.000
Zn 0.173 0.673 0.500
Tc 0.619 0.119 0.000
Tc 0.381 0.881 0.000
In 0.000 0.000 0.000
In 0.500 0.500 0.000

No. 2
The following is a PBE calculation of a relaxed CsTl2BiF6 crystal, from Alexandria.

formation energy without anion corrections: -2.268 eV/atom

a b c (Å): 6.698 7.261 9.774
angles (deg): 90.00 88.57 90.00
Atoms (fractional coordinates):
Cs 0.500 0.000 0.000
F 0.365 0.741 0.405
F 0.201 0.143 0.463
F 0.701 0.357 0.963
F 0.631 0.090 0.290
F 0.131 0.410 0.790
Tl 0.493 0.467 0.235
F 0.135 0.241 0.095
F 0.799 0.857 0.537
F 0.865 0.759 0.905
Bi 0.000 0.500 0.000
Tl 0.993 0.033 0.735
F 0.299 0.643 0.037
Tl 0.507 0.533 0.765
F 0.635 0.259 0.595
Bi 0.500 0.000 0.500
F 0.869 0.590 0.210
Tl 0.007 0.967 0.265
F 0.369 0.910 0.710
Cs 0.000 0.500 0.500

no.,magnetic moment (μB/f.u.),volume (Å³ per cell)
1,0.0,168.5
2,0.0,475.2

~~~~~

No. 1
A relaxed Ti2CuBSe crystal, computed with PBE-GGA.

As for the total energy: -23.5 eV per cell. The calculation puts the raw formation energy at 1308 meV/atom.

The structure belongs to space group P4/mmm (No. 123); the cell edges are 4.686, 4.686 and 4.306 Å and the angles 90.00°, 90.00° and 90.00°. Symmetry generates all atoms from Ti at (0.000, 0.500, 0.000), Cu at (0.000, 0.000, 0.000), B at (0.500, 0.500, 0.500) and Se at (0.000, 0.000, 0.500).

No. 2
A relaxed CuSi2B2 crystal, computed with PBE-GGA.

The calculation puts the polymorph energy (0 for the lowest one) at 0 meV per atom. As for the total energy: -48.7 eV per cell. The calculation puts the raw formation energy at 790 meV/atom.

The structure belongs to space group I4/mmm (No. 139); the cell edges are 3.566, 3.566 and 9.226 Å and the angles 90.00°, 90.00° and 90.00°. Symmetry generates all atoms from Cu at (0.000, 0.000, 0.000), Si at (0.000, 0.000, 0.374) and B at (0.000, 0.500, 0.250).

No. 3
A relaxed CuSi2B2 crystal, computed with PBE-GGA.

The calculation puts the polymorph energy (0 for the lowest one) at 118 meV per atom. As for the total energy: -47.5 eV per cell. The calculation puts the raw formation energy at 908 meV/atom.

The structure belongs to space group P4/mbm (No. 127); the cell edges are 6.392, 6.392 and 2.628 Å and the angles 90.00°, 90.00° and 90.00°. Symmetry generates all atoms from Cu at (0.000, 0.000, 0.000), Si at (0.139, 0.361, 0.000) and B at (0.162, 0.662, 0.500).

No. 4
A relaxed CuSiB3 crystal, computed with PBE-GGA.

The calculation puts the polymorph energy (0 for the lowest one) at 56 meV per atom. As for the total energy: -21.0 eV per cell. The calculation puts the raw formation energy at 1716 meV/atom.

The structure belongs to space group Pm-3m (No. 221); the cell edges are 3.889, 3.889 and 3.889 Å and the angles 90.00°, 90.00° and 90.00°. Symmetry generates all atoms from Cu at (0.000, 0.000, 0.000), Si at (0.500, 0.500, 0.500) and B at (0.000, 0.000, 0.500).

No. 5
A relaxed CuSiB3 crystal, computed with PBE-GGA.

The calculation puts the polymorph energy (0 for the lowest one) at 0 meV per atom. As for the total energy: -21.3 eV per cell. The calculation puts the raw formation energy at 1660 meV/atom.

The structure belongs to space group Pm-3m (No. 221); the cell edges are 3.962, 3.962 and 3.962 Å and the angles 90.00°, 90.00° and 90.00°. Symmetry generates all atoms from Cu at (0.000, 0.000, 0.000), Si at (0.500, 0.500, 0.500) and B at (0.000, 0.500, 0.500).

No. 6
A relaxed Cu2SiB crystal, computed with PBE-GGA.

As for the total energy: -69.9 eV per cell. The calculation puts the raw formation energy at 706 meV/atom.